== Listing ==
+++
The following is a theoretical powder diffraction line list of RbUTlF6. It was derived from DFT lattice parameters and positions (PBE), using Cu Kα (weighted mean of Kα1 and Kα2).
Lines closer than 0.1° are merged.

Top 10 peaks for 2θ = 5–70°, sorted by position:
2θ = 17.34°, I = 323, hkl 1 0 1; 2θ = 23.73°, I = 1000, hkl 1 0 2; 2θ = 25.46°, I = 713, hkl 1 1 0; 2θ = 35.09°, I = 370, hkl 2 0 2; 2θ = 43.85°, I = 404, hkl 2 1 2; 2θ = 44.88°, I = 241, hkl 3 0 0; 2θ = 46.05°, I = 425, hkl 1 1 4; 2θ = 58.21°, I = 177, hkl 3 1 2; 2θ = 60.02°, I = 136, hkl 3 0 4; 2θ = 66.26°, I = 141, hkl 4 -2 4

```
data_RbUTlF6
_chemical_formula_sum 'Rb2 U2 Tl2 F12'
_cell_length_a 6.9957
_cell_length_b 6.9957
_cell_length_c 9.5443
_cell_angle_alpha 90.00
_cell_angle_beta 90.00
_cell_angle_gamma 120.00
_space_group_name_H-M_alt 'P -3 1 c'
_space_group_IT_number 163
_space_group_name_Hall '-P 3 2c'
loop_
_atom_site_label
_atom_site_fract_x
_atom_site_fract_y
_atom_site_fract_z
Rb1 0.3333 0.6667 0.2500
U1 0.3333 0.6667 0.7500
Tl1 0.0000 0.0000 0.0000
F1 0.0709 0.3994 0.6276
```

----------

# 1
Diffraction record for Ac2GaPd7. The powder X-ray diffraction pattern is calculated, not measured: it uses a DFT-relaxed cell (GGA-PBE, Alexandria) and Cu Ka.
Lines closer than 0.1° are merged.

Most intense lines, 10 to 80 degrees two-theta, in order of rising 2θ:
two_theta	d_spacing	Rel. int.
30.5	2.930	18
30.9	2.893	58
34.0	2.638	100
43.2	2.092	38
43.7	2.072	48
54.5	1.684	24
63.2	1.472	25
63.5	1.465	16
74.0	1.281	21
78.2	1.223	11

Cell and atoms:
```
10
Lattice="4.143 0.000 0.000 0.000 4.143 0.000 0.000 0.000 12.121" Properties=species:S:1:pos:R:3 pbc="T T T"
Ac 0.000 2.072 2.826
Ac 2.072 0.000 9.295
Ga 0.000 0.000 6.061
Pd 0.000 0.000 0.000
Pd 0.000 2.072 7.710
Pd 0.000 2.072 10.347
Pd 2.072 0.000 1.774
Pd 2.072 0.000 4.411
Pd 2.072 2.072 0.000
Pd 2.072 2.072 6.061
```



# 2
Diffraction record for K2Cd7Sn. The powder X-ray diffraction pattern is calculated, not measured: it uses a DFT-relaxed cell (GGA-PBE, Alexandria) and Cu Ka.
Lines closer than 0.1° are merged.

Most intense lines, 10 to 80 degrees two-theta, in order of rising 2θ:
two_theta	d_spacing	Rel. int.
13.7	6.441	34
19.8	4.479	50
27.9	3.193	28
29.9	2.991	100
37.7	2.388	68
38.6	2.331	83
39.7	2.268	30
54.3	1.689	23
63.2	1.471	22
68.6	1.368	29

Cell and atoms:
```
10
Lattice="4.777 0.000 0.000 0.000 4.777 0.000 0.000 0.000 12.882" Properties=species:S:1:pos:R:3 pbc="T T T"
K 0.000 2.388 3.211
K 2.388 0.000 9.671
Cd 0.000 0.000 0.000
Cd 0.000 0.000 6.441
Cd 0.000 2.388 8.211
Cd 0.000 2.388 11.060
Cd 2.388 0.000 1.823
Cd 2.388 0.000 4.672
Cd 2.388 2.388 6.441
Sn 2.388 2.388 0.000
```



# 3
Diffraction record for UPa3S4. The powder X-ray diffraction pattern is calculated, not measured: it uses a DFT-relaxed cell (GGA-PBE, Alexandria) and Cu Ka.
Lines closer than 0.1° are merged.

Most intense lines, 10 to 80 degrees two-theta, in order of rising 2θ:
two_theta	d_spacing	Rel. int.
27.5	3.246	28
28.1	3.175	53
28.7	3.113	25
32.6	2.751	100
45.9	1.976	26
46.7	1.946	25
47.5	1.915	23
58.1	1.587	13
68.2	1.375	12
76.5	1.246	12

Cell and atoms:
```
16
Lattice="6.884 0.000 0.000 0.000 7.777 0.000 -2.192 0.000 6.225" Properties=species:S:1:pos:R:3 pbc="T T T"
U -0.548 0.972 1.556
U -1.644 6.805 4.669
Pa -1.644 2.912 4.669
Pa -0.548 4.865 1.556
Pa 1.798 0.975 4.669
Pa 2.894 2.919 1.556
Pa 1.798 4.858 4.669
Pa 2.894 6.802 1.556
S 1.708 0.964 0.001
S 0.612 6.814 3.113
S 0.618 2.910 3.105
S -0.479 4.867 6.218
S 5.170 2.910 0.008
S 4.074 4.867 3.120
S 4.079 0.964 3.112
S 2.983 6.814 6.225
```



# 4
Diffraction record for NdGa9Pd3. The powder X-ray diffraction pattern is calculated, not measured: it uses a DFT-relaxed cell (GGA-PBE, Alexandria) and Cu Ka.
Lines closer than 0.1° are merged.

Most intense lines, 10 to 80 degrees two-theta, in order of rising 2θ:
two_theta	d_spacing	Rel. int.
33.5	2.676	44
37.6	2.393	85
38.5	2.338	73
38.9	2.314	30
39.3	2.291	33
39.5	2.279	42
39.9	2.258	100
40.0	2.252	36
43.2	2.096	42
+++
== Activity ==
Could you quote everything further up character by character?
== Completed ==
The following is a theoretical powder diffraction line list of RbUTlF6. It was derived from DFT lattice parameters and positions (PBE), using Cu Kα (weighted mean of Kα1 and Kα2).
Lines closer than 0.1° are merged.

Top 10 peaks for 2θ = 5–70°, sorted by position:
2θ = 17.34°, I = 323, hkl 1 0 1; 2θ = 23.73°, I = 1000, hkl 1 0 2; 2θ = 25.46°, I = 713, hkl 1 1 0; 2θ = 35.09°, I = 370, hkl 2 0 2; 2θ = 43.85°, I = 404, hkl 2 1 2; 2θ = 44.88°, I = 241, hkl 3 0 0; 2θ = 46.05°, I = 425, hkl 1 1 4; 2θ = 58.21°, I = 177, hkl 3 1 2; 2θ = 60.02°, I = 136, hkl 3 0 4; 2θ = 66.26°, I = 141, hkl 4 -2 4

```
data_RbUTlF6
_chemical_formula_sum 'Rb2 U2 Tl2 F12'
_cell_length_a 6.9957
_cell_length_b 6.9957
_cell_length_c 9.5443
_cell_angle_alpha 90.00
_cell_angle_beta 90.00
_cell_angle_gamma 120.00
_space_group_name_H-M_alt 'P -3 1 c'
_space_group_IT_number 163
_space_group_name_Hall '-P 3 2c'
loop_
_atom_site_label
_atom_site_fract_x
_atom_site_fract_y
_atom_site_fract_z
Rb1 0.3333 0.6667 0.2500
U1 0.3333 0.6667 0.7500
Tl1 0.0000 0.0000 0.0000
F1 0.0709 0.3994 0.6276
```

----------

# 1
Diffraction record for Ac2GaPd7. The powder X-ray diffraction pattern is calculated, not measured: it uses a DFT-relaxed cell (GGA-PBE, Alexandria) and Cu Ka.
Lines closer than 0.1° are merged.

Most intense lines, 10 to 80 degrees two-theta, in order of rising 2θ:
two_theta	d_spacing	Rel. int.
30.5	2.930	18
30.9	2.893	58
34.0	2.638	100
43.2	2.092	38
43.7	2.072	48
54.5	1.684	24
63.2	1.472	25
63.5	1.465	16
74.0	1.281	21
78.2	1.223	11

Cell and atoms:
```
10
Lattice="4.143 0.000 0.000 0.000 4.143 0.000 0.000 0.000 12.121" Properties=species:S:1:pos:R:3 pbc="T T T"
Ac 0.000 2.072 2.826
Ac 2.072 0.000 9.295
Ga 0.000 0.000 6.061
Pd 0.000 0.000 0.000
Pd 0.000 2.072 7.710
Pd 0.000 2.072 10.347
Pd 2.072 0.000 1.774
Pd 2.072 0.000 4.411
Pd 2.072 2.072 0.000
Pd 2.072 2.072 6.061
```



# 2
Diffraction record for K2Cd7Sn. The powder X-ray diffraction pattern is calculated, not measured: it uses a DFT-relaxed cell (GGA-PBE, Alexandria) and Cu Ka.
Lines closer than 0.1° are merged.

Most intense lines, 10 to 80 degrees two-theta, in order of rising 2θ:
two_theta	d_spacing	Rel. int.
13.7	6.441	34
19.8	4.479	50
27.9	3.193	28
29.9	2.991	100
37.7	2.388	68
38.6	2.331	83
39.7	2.268	30
54.3	1.689	23
63.2	1.471	22
68.6	1.368	29

Cell and atoms:
```
10
Lattice="4.777 0.000 0.000 0.000 4.777 0.000 0.000 0.000 12.882" Properties=species:S:1:pos:R:3 pbc="T T T"
K 0.000 2.388 3.211
K 2.388 0.000 9.671
Cd 0.000 0.000 0.000
Cd 0.000 0.000 6.441
Cd 0.000 2.388 8.211
Cd 0.000 2.388 11.060
Cd 2.388 0.000 1.823
Cd 2.388 0.000 4.672
Cd 2.388 2.388 6.441
Sn 2.388 2.388 0.000
```



# 3
Diffraction record for UPa3S4. The powder X-ray diffraction pattern is calculated, not measured: it uses a DFT-relaxed cell (GGA-PBE, Alexandria) and Cu Ka.
Lines closer than 0.1° are merged.

Most intense lines, 10 to 80 degrees two-theta, in order of rising 2θ:
two_theta	d_spacing	Rel. int.
27.5	3.246	28
28.1	3.175	53
28.7	3.113	25
32.6	2.751	100
45.9	1.976	26
46.7	1.946	25
47.5	1.915	23
58.1	1.587	13
68.2	1.375	12
76.5	1.246	12

Cell and atoms:
```
16
Lattice="6.884 0.000 0.000 0.000 7.777 0.000 -2.192 0.000 6.225" Properties=species:S:1:pos:R:3 pbc="T T T"
U -0.548 0.972 1.556
U -1.644 6.805 4.669
Pa -1.644 2.912 4.669
Pa -0.548 4.865 1.556
Pa 1.798 0.975 4.669
Pa 2.894 2.919 1.556
Pa 1.798 4.858 4.669
Pa 2.894 6.802 1.556
S 1.708 0.964 0.001
S 0.612 6.814 3.113
S 0.618 2.910 3.105
S -0.479 4.867 6.218
S 5.170 2.910 0.008
S 4.074 4.867 3.120
S 4.079 0.964 3.112
S 2.983 6.814 6.225
```



# 4
Diffraction record for NdGa9Pd3. The powder X-ray diffraction pattern is calculated, not measured: it uses a DFT-relaxed cell (GGA-PBE, Alexandria) and Cu Ka.
Lines closer than 0.1° are merged.

Most intense lines, 10 to 80 degrees two-theta, in order of rising 2θ:
two_theta	d_spacing	Rel. int.
33.5	2.676	44
37.6	2.393	85
38.5	2.338	73
38.9	2.314	30
39.3	2.291	33
39.5	2.279	42
39.9	2.258	100
40.0	2.252	36
43.2	2.096	42